_Excerpt_
/*
# 1
DFT (PBE) results for a relaxed structure of PdPb2Br.

It has space group I-42d (No. 122), with a = 6.3368 Å, b = 6.3368 Å, c = 14.6042 Å, α = 90.00°, β = 90.00° and γ = 90.00°. The distinct sites, in fractional coordinates, are Pd at (0.0000, 0.0000, 0.0000), Pb at (0.1813, 0.2500, 0.1250) and Br at (0.0000, 0.0000, 0.5000).

The distance to the lowest polymorph of the same formula comes out at 197 meV per atom.

# 2
DFT (PBE) results for a relaxed structure of PdPbBr.

It has space group P2_1/m (No. 11), with a = 5.7216 Å, b = 4.3641 Å, c = 6.4618 Å, α = 90.00°, β = 92.20° and γ = 90.00°. The distinct sites, in fractional coordinates, are Pd at (0.2411, 0.2500, 0.1580), Pb at (0.2609, 0.7500, 0.8902) and Br at (0.2439, 0.7500, 0.3901).

Formation energy from raw total energies: -0.1079; -0.3032 (eV per atom)
E_tot: -3.678; -3.828 (eV per atom)


Below is a geometry-optimized CaPm2Ru structure, with properties calculated at the PBE-GGA level.

As for the total energy: -0.3871 Ry/atom. The energy of formation comes out at -0.072 eV per atom. As for the magnetization: 0.00 μB/f.u. The calculation puts the distance to the lowest polymorph of the same formula at 67 meV/atom.

The structure belongs to space group P-1 (No. 2); the cell edges are 4.097, 4.100 and 9.162 Å and the angles 89.72°, 89.86° and 60.12°. The asymmetric unit holds Ca at (0.000, 0.000, 0.000), Pm at (0.333, 0.335, 0.338) and Ru at (0.000, 0.000, 0.500).


Entry from the Alexandria database: a relaxed structure of AcCoO4 (GGA+U).

a b c (Å): 5.106 5.106 6.606
angles (deg): 90.00 90.00 90.00
Space group P4_2/nmc (No. 137, origin choice 2)
Asymmetric unit:
Ac 0.250 0.750 0.250 x2
Co 0.250 0.750 0.750 x2
O 0.017 0.250 0.088 x8

Calculated values
Total magnetization   8.00 μB per cell
ΔE to the lowest computed polymorph   66 kJ/mol of formula units
Calculated volume   14.351 Å³ per atom
E   -6.444 eV per atom


Entry 1:
# PmNd2As3 (PBE, relaxed)
# VASP energy	-0.45742	Ry per atom
# ΔE_f	-1.5177	eV/atom
# volume	27.36	Å³/atom
data_PmNd2As3
_cell_length_a 4.2663
_cell_length_b 6.0226
_cell_length_c 12.7802
_cell_angle_alpha 90.00
_cell_angle_beta 90.00
_cell_angle_gamma 90.00
_symmetry_space_group_name_H-M 'I m m m'
_symmetry_Int_Tables_number 71
_symmetry_space_group_name_Hall '-I 2 2'
loop_
_atom_site_label
_atom_site_type_symbol
_atom_site_fract_x
_atom_site_fract_y
_atom_site_fract_z
Pm1 Pm 0.0000 0.0000 0.0000
Nd1 Nd 0.0000 0.0000 0.3332
As1 As 0.0000 0.5000 0.0000
As2 As 0.0000 0.5000 0.3344

---

Entry 2:
# Pm3NdAs4 (PBE, relaxed)
# VASP energy	-0.45761	Ry per atom
# E above lowest polymorph	3	meV/atom
# ΔE_f	-1.5238	eV/atom
# volume	27.09	Å³/atom
data_Pm3NdAs4
_cell_length_a 8.4934
_cell_length_b 12.0088
_cell_length_c 4.2499
_cell_angle_alpha 90.00
_cell_angle_beta 90.00
_cell_angle_gamma 90.00
_symmetry_space_group_name_H-M 'C m m m'
_symmetry_Int_Tables_number 65
_symmetry_space_group_name_Hall '-C 2 2'
loop_
_atom_site_label
_atom_site_type_symbol
_atom_site_fract_x
_atom_site_fract_y
_atom_site_fract_z
Pm1 Pm 0.0000 0.0000 0.0000
Pm2 Pm 0.2500 0.2500 0.5000
Nd1 Nd 0.0000 0.5000 0.0000
As1 As 0.0000 0.2494 0.0000
As2 As 0.2486 0.0000 0.5000

---

Entry 3:
# Pm3NdAs4 (PBE, relaxed)
# VASP energy	-0.45782	Ry per atom
# E above lowest polymorph	0	meV/atom
# ΔE_f	-1.5268	eV/atom
# volume	27.05	Å³/atom
data_Pm3NdAs4
_cell_length_a 6.0039
_cell_length_b 6.0039
_cell_length_c 6.0039
_cell_angle_alpha 90.00
_cell_angle_beta 90.00
_cell_angle_gamma 90.00
_symmetry_space_group_name_H-M 'P m -3 m'
_symmetry_Int_Tables_number 221
_symmetry_space_group_name_Hall '-P 4 2 3'
loop_
_atom_site_label
_atom_site_type_symbol
_atom_site_fract_x
_atom_site_fract_y
_atom_site_fract_z
Pm1 Pm 0.0000 0.0000 0.5000
Nd1 Nd 0.5000 0.5000 0.5000
As1 As 0.0000 0.0000 0.0000
As2 As 0.0000 0.5000 0.5000

---

Entry 4:
# PmNdAs2 (PBE, relaxed)
# VASP energy	-0.45747	Ry per atom
# E above lowest polymorph	2	meV/atom
# ΔE_f	-1.5199	eV/atom
# volume	27.27	Å³/atom
data_PmNdAs2
*/

_Exercise_
Duplicate the lines earlier on up to the one that holds "-0.45761", that line included, please.

_Response_
# 1
DFT (PBE) results for a relaxed structure of PdPb2Br.

It has space group I-42d (No. 122), with a = 6.3368 Å, b = 6.3368 Å, c = 14.6042 Å, α = 90.00°, β = 90.00° and γ = 90.00°. The distinct sites, in fractional coordinates, are Pd at (0.0000, 0.0000, 0.0000), Pb at (0.1813, 0.2500, 0.1250) and Br at (0.0000, 0.0000, 0.5000).

The distance to the lowest polymorph of the same formula comes out at 197 meV per atom.

# 2
DFT (PBE) results for a relaxed structure of PdPbBr.

It has space group P2_1/m (No. 11), with a = 5.7216 Å, b = 4.3641 Å, c = 6.4618 Å, α = 90.00°, β = 92.20° and γ = 90.00°. The distinct sites, in fractional coordinates, are Pd at (0.2411, 0.2500, 0.1580), Pb at (0.2609, 0.7500, 0.8902) and Br at (0.2439, 0.7500, 0.3901).

Formation energy from raw total energies: -0.1079; -0.3032 (eV per atom)
E_tot: -3.678; -3.828 (eV per atom)


Below is a geometry-optimized CaPm2Ru structure, with properties calculated at the PBE-GGA level.

As for the total energy: -0.3871 Ry/atom. The energy of formation comes out at -0.072 eV per atom. As for the magnetization: 0.00 μB/f.u. The calculation puts the distance to the lowest polymorph of the same formula at 67 meV/atom.

The structure belongs to space group P-1 (No. 2); the cell edges are 4.097, 4.100 and 9.162 Å and the angles 89.72°, 89.86° and 60.12°. The asymmetric unit holds Ca at (0.000, 0.000, 0.000), Pm at (0.333, 0.335, 0.338) and Ru at (0.000, 0.000, 0.500).


Entry from the Alexandria database: a relaxed structure of AcCoO4 (GGA+U).

a b c (Å): 5.106 5.106 6.606
angles (deg): 90.00 90.00 90.00
Space group P4_2/nmc (No. 137, origin choice 2)
Asymmetric unit:
Ac 0.250 0.750 0.250 x2
Co 0.250 0.750 0.750 x2
O 0.017 0.250 0.088 x8

Calculated values
Total magnetization   8.00 μB per cell
ΔE to the lowest computed polymorph   66 kJ/mol of formula units
Calculated volume   14.351 Å³ per atom
E   -6.444 eV per atom


Entry 1:
# PmNd2As3 (PBE, relaxed)
# VASP energy	-0.45742	Ry per atom
# ΔE_f	-1.5177	eV/atom
# volume	27.36	Å³/atom
data_PmNd2As3
_cell_length_a 4.2663
_cell_length_b 6.0226
_cell_length_c 12.7802
_cell_angle_alpha 90.00
_cell_angle_beta 90.00
_cell_angle_gamma 90.00
_symmetry_space_group_name_H-M 'I m m m'
_symmetry_Int_Tables_number 71
_symmetry_space_group_name_Hall '-I 2 2'
loop_
_atom_site_label
_atom_site_type_symbol
_atom_site_fract_x
_atom_site_fract_y
_atom_site_fract_z
Pm1 Pm 0.0000 0.0000 0.0000
Nd1 Nd 0.0000 0.0000 0.3332
As1 As 0.0000 0.5000 0.0000
As2 As 0.0000 0.5000 0.3344

---

Entry 2:
# Pm3NdAs4 (PBE, relaxed)
# VASP energy	-0.45761	Ry per atom